Given
/*
Formula: F8N4NaO16S8
Source: OMol25
Level of theory: ωB97M-V/def2-TZVPD

```
! RIJCOSX wB97M-V def2-TZVPD def2/J DEFGRID3
* xyz -3 1
Na 0.753 0.570 -0.184
N 3.209 4.069 0.240
S 1.903 4.372 -0.577
O 0.791 3.489 -0.309
O 2.133 5.009 -1.851
F 1.398 5.525 0.419
S 3.649 2.814 -0.759
O 4.626 3.131 -1.786
O 2.694 1.761 -0.992
F 4.683 2.029 0.199
N -3.080 2.706 2.720
S -1.685 2.680 1.773
O -1.818 3.427 0.553
O -0.765 1.543 1.716
F -0.866 3.710 2.651
S -3.520 1.217 2.354
O -3.159 0.185 3.293
O -3.682 0.903 0.953
F -5.103 1.500 2.690
N 2.336 -4.315 -0.792
S 1.797 -3.460 0.487
O 1.887 -2.012 0.364
O 2.030 -3.978 1.816
F 0.262 -3.693 0.312
S 3.824 -3.911 -0.742
O 4.532 -4.150 0.504
O 4.286 -2.915 -1.660
F 4.212 -5.301 -1.609
N -2.636 -2.865 -1.331
S -4.108 -2.180 -0.777
O -4.833 -1.179 -1.515
O -3.995 -2.067 0.632
F -5.067 -3.450 -1.030
S -2.044 -1.521 -1.795
O -1.634 -0.555 -0.784
O -2.424 -0.972 -3.089
F -0.585 -2.116 -2.095
*
```

Computed properties:
* Kohn-Sham gap: 8.4 eV
* E_HOMO: -0.100 hartree
* calculated total energy: -151557.875 eV
* LUMO energy: 5.669 eV
* energy relative to the best compared isomer or geometry (same formula, charge and spin): 68.6 kcal per mole

Atom charges from the Löwdin analysis, given in e for atoms 1 to 2:
1 Na 0.561
2 N -0.253

=====

ORCA calculation (ωB97M-V with the def2-TZVPD basis set) on a molecular structure, C29H25F3NO10S5SbZr.

Each line ends with the Mulliken charge.
CARTESIAN COORDINATES (ANGSTROEM)
Zr (0.034, -0.972, 2.293)  0.51
O (6.329, -0.559, 2.920)  -0.56
C (4.966, -0.595, 2.916)  1.19
C (4.255, -1.602, 3.564)  -0.62
C (2.881, -1.563, 3.494)  -0.37
N (2.239, -0.614, 2.835)  0.40
C (2.909, 0.342, 2.215)  0.16
C (4.286, 0.396, 2.217)  -0.84
C (2.000, 1.240, 1.397)  -0.05
O (2.484, 2.113, 0.687)  -0.79
O (0.764, 0.922, 1.496)  -0.07
C (1.952, -2.634, 4.036)  0.40
O (2.399, -3.580, 4.658)  -0.79
O (0.725, -2.414, 3.708)  -0.27
H (6.651, -1.321, 3.412)  0.29
H (4.733, -2.416, 4.096)  0.40
H (4.803, 1.172, 1.670)  0.57
S (0.252, 0.425, 4.675)  -0.20
S (-1.334, -0.392, 5.607)  -0.17
S (-2.997, 0.148, 4.307)  -0.22
S (-2.062, 0.635, 2.573)  -0.24
O (0.516, -2.662, -1.420)  -0.69
S (0.312, -2.435, -0.014)  1.20
O (0.010, -3.617, 0.787)  -0.70
O (-0.804, -1.400, 0.254)  -0.27
O (1.473, -1.719, 0.668)  -0.40
C (-2.344, -3.917, 4.707)  -1.15
C (-1.609, -3.932, 3.384)  -0.26
O (-1.905, -2.721, 2.650)  0.49
C (-2.919, -3.048, 1.674)  -0.70
C (-3.730, -1.889, 1.151)  -0.86
H (-2.146, -4.844, 5.253)  0.40
H (-3.422, -3.820, 4.559)  0.29
H (-2.004, -3.072, 5.304)  0.11
H (-1.904, -4.784, 2.768)  0.50
H (-0.539, -3.989, 3.526)  0.14
H (-3.610, -3.740, 2.169)  0.62
H (-2.420, -3.579, 0.859)  0.27
H (-4.243, -1.373, 1.960)  0.31
*/
Assignment
Return the block further up from the line with "0.553" to the end unchanged.
Response
O -1.818 3.427 0.553
O -0.765 1.543 1.716
F -0.866 3.710 2.651
S -3.520 1.217 2.354
O -3.159 0.185 3.293
O -3.682 0.903 0.953
F -5.103 1.500 2.690
N 2.336 -4.315 -0.792
S 1.797 -3.460 0.487
O 1.887 -2.012 0.364
O 2.030 -3.978 1.816
F 0.262 -3.693 0.312
S 3.824 -3.911 -0.742
O 4.532 -4.150 0.504
O 4.286 -2.915 -1.660
F 4.212 -5.301 -1.609
N -2.636 -2.865 -1.331
S -4.108 -2.180 -0.777
O -4.833 -1.179 -1.515
O -3.995 -2.067 0.632
F -5.067 -3.450 -1.030
S -2.044 -1.521 -1.795
O -1.634 -0.555 -0.784
O -2.424 -0.972 -3.089
F -0.585 -2.116 -2.095
*
```

Computed properties:
* Kohn-Sham gap: 8.4 eV
* E_HOMO: -0.100 hartree
* calculated total energy: -151557.875 eV
* LUMO energy: 5.669 eV
* energy relative to the best compared isomer or geometry (same formula, charge and spin): 68.6 kcal per mole

Atom charges from the Löwdin analysis, given in e for atoms 1 to 2:
1 Na 0.561
2 N -0.253

=====

ORCA calculation (ωB97M-V with the def2-TZVPD basis set) on a molecular structure, C29H25F3NO10S5SbZr.

Each line ends with the Mulliken charge.
CARTESIAN COORDINATES (ANGSTROEM)
Zr (0.034, -0.972, 2.293)  0.51
O (6.329, -0.559, 2.920)  -0.56
C (4.966, -0.595, 2.916)  1.19
C (4.255, -1.602, 3.564)  -0.62
C (2.881, -1.563, 3.494)  -0.37
N (2.239, -0.614, 2.835)  0.40
C (2.909, 0.342, 2.215)  0.16
C (4.286, 0.396, 2.217)  -0.84
C (2.000, 1.240, 1.397)  -0.05
O (2.484, 2.113, 0.687)  -0.79
O (0.764, 0.922, 1.496)  -0.07
C (1.952, -2.634, 4.036)  0.40
O (2.399, -3.580, 4.658)  -0.79
O (0.725, -2.414, 3.708)  -0.27
H (6.651, -1.321, 3.412)  0.29
H (4.733, -2.416, 4.096)  0.40
H (4.803, 1.172, 1.670)  0.57
S (0.252, 0.425, 4.675)  -0.20
S (-1.334, -0.392, 5.607)  -0.17
S (-2.997, 0.148, 4.307)  -0.22
S (-2.062, 0.635, 2.573)  -0.24
O (0.516, -2.662, -1.420)  -0.69
S (0.312, -2.435, -0.014)  1.20
O (0.010, -3.617, 0.787)  -0.70
O (-0.804, -1.400, 0.254)  -0.27
O (1.473, -1.719, 0.668)  -0.40
C (-2.344, -3.917, 4.707)  -1.15
C (-1.609, -3.932, 3.384)  -0.26
O (-1.905, -2.721, 2.650)  0.49
C (-2.919, -3.048, 1.674)  -0.70
C (-3.730, -1.889, 1.151)  -0.86
H (-2.146, -4.844, 5.253)  0.40
H (-3.422, -3.820, 4.559)  0.29
H (-2.004, -3.072, 5.304)  0.11
H (-1.904, -4.784, 2.768)  0.50
H (-0.539, -3.989, 3.526)  0.14
H (-3.610, -3.740, 2.169)  0.62
H (-2.420, -3.579, 0.859)  0.27
H (-4.243, -1.373, 1.960)  0.31